Adding Standard LEDs with a STP16CPC26 driver

If you just wish to use a lot of standard LEDs, you can also opt to use 1 or many STP16CPC26 LED drivers. You will need one driver for every 16 leds you want to connect.


  • A controller modded using any of the guides
  • Some LEDs
  • Enough STP16CPC26 drivers to drive your leds


  1. Wire GND on your drivers to GND on your microcontroller

  2. Wire VDD on your drivers to VCC on your microcontroller

  3. Connect the SCK (CLK) pin on each driver to your microcontroller. If you are using a Pi Pico and these pins don't work for you, you can use one of the advanced pinouts below. Note that the Pi Pico has multiple channels, and SCK and MOSI need to be from the same channel.

    Microcontroller SCK (CLK)
    Pi Pico (Recommended) GP6
    Pro Micro, Leonardo, Micro 15
    Uno 13
    Mega 52
    Pi Pico (Advanced, Channel 0) GP2, GP6, GP18
    Pi Pico (Advanced, Channel 1) GP10, GP14, GP26
  4. Connect the MOSI (SDI) on the first driver to the MOSI pin on your microcontroller. Then chain the MOSI (SDO) outputs to the MOSI (SDI) on the next driver, until all drivers are connected. If you are using a Pi Pico and these pins don't work for you, you can use one of the advanced pinouts below. Note that the Pi Pico has multiple channels, and SCK and MOSI need to be from the same channel.

    Microcontroller MOSI (SDI)
    Pi Pico (Recommended) GP3
    Pro Micro, Leonardo, Micro 16
    Uno 11
    Mega 51
    Pi Pico (Advanced, Channel 0) GP3, GP7, GP19
    Pi Pico (Advanced, Channel 1) GP11, GP15, GP27
  5. Connect your LEDs to the OUTn pins. The cathode of each LED connects to an OUTn pin, while the anodes are all connected together and connect to the voltage supply for your LEDs. Depending on how many LEDs you are using, it may make sense to use an external supply here, which would need to have its VCC connected to the anodes of the LEDs, and its GND connected to GND on the drivers.

  6. Connect a resistor between R-EXT and GND, depending on how much current you want to drive each LED with.

    Resistor (ohms) Output Current (mA)
    4300 5
    2000 10
    1000 20
    470 40
    330 60
    220 90


  1. Click on LED Settings
  2. Set the LED Type to STP16CPC26
  3. Set the CLK and SDI pins as you wired them
  4. Set the LED count to the amount of LEDs you have connected together.
  5. Hit Save Settings
  6. If you want a button to control an LED, click on the button in question.
  7. Click on the leds you want to link to this button in the Selected LEDs section.
  8. If you want an analog input (such as whammy) to control an LED, click on it.
  9. Configuring analog based LEDs is much the same as digital, but instead of pressed and released being digital, the LEDs will smoothly transition between pressed and released depending on the value of the analog input.
  10. If you would like to respond to game events in supported games, hit the Add Setting button and add an LED Binding. You can then pick the LED type in question, and configure it, in much the same way as the inputs.

# Data records, kept here for reference
'''
1.
DFT (PBE-GGA) results for a geometry-optimized LaTb2Tm5 structure.

Cell: 7.0914 7.0753 19.9272 Å, 90.00 90.00 90.00°
With the nearest neighbours (Å) after each atom.
Atoms (fractional coordinates):
Tb 0.2523 0.0000 0.5000  4 Tb 3.51-3.58, 6 Tm 3.53-3.54, 2 La 3.55
Tb 0.7477 0.5000 0.0000  4 Tb 3.51-3.58, 6 Tm 3.53-3.54, 2 La 3.55
Tb 0.5000 0.2520 0.3743  8 Tm 3.51-3.54, 2 Tb 3.54, 2 La 3.55
Tb 0.5000 0.2480 0.8743  8 Tm 3.51-3.54, 2 Tb 3.54, 2 La 3.55
Tb 0.5000 0.7520 0.1257  8 Tm 3.51-3.54, 2 Tb 3.54, 2 La 3.55
Tb 0.5000 0.7480 0.6257  8 Tm 3.51-3.54, 2 Tb 3.54, 2 La 3.55
Tb 0.7477 0.0000 0.5000  4 Tb 3.51-3.58, 6 Tm 3.53-3.54, 2 La 3.55
Tb 0.2523 0.5000 0.0000  4 Tb 3.51-3.58, 6 Tm 3.53-3.54, 2 La 3.55
Tm 0.7473 0.4983 0.7500  8 Tm 3.51-3.58, 2 Tb 3.51, 2 La 3.53
Tm 0.2527 0.9983 0.7500  8 Tm 3.51-3.58, 2 Tb 3.51, 2 La 3.53
Tm 0.0000 0.2511 0.1255  8 Tm 3.53-3.55, 2 La 3.53-3.54, 2 Tb 3.54
Tm 0.5000 0.7487 0.8745  8 Tm 3.51-3.55, 4 Tb 3.53-3.54
Tm 0.2527 0.0017 0.2500  8 Tm 3.51-3.58, 2 Tb 3.51, 2 La 3.53
Tm 0.2527 0.4983 0.7500  8 Tm 3.51-3.58, 2 Tb 3.51, 2 La 3.53
Tm 0.7473 0.9983 0.7500  8 Tm 3.51-3.58, 2 Tb 3.51, 2 La 3.53
Tm 0.7473 0.5000 0.5000  6 Tm 3.51-3.58, 4 Tb 3.53-3.54, 2 La 3.55
Tm 0.0000 0.2489 0.6255  8 Tm 3.53-3.55, 2 La 3.53-3.54, 2 Tb 3.54
Tm 0.2527 0.5017 0.2500  8 Tm 3.51-3.58, 2 Tb 3.51, 2 La 3.53
Tm 0.5000 0.2487 0.6255  8 Tm 3.51-3.55, 4 Tb 3.53-3.54
Tm 0.5000 0.7513 0.3745  8 Tm 3.51-3.55, 4 Tb 3.53-3.54
Tm 0.2527 0.0000 0.0000  6 Tm 3.51-3.58, 4 Tb 3.53-3.54, 2 La 3.55
Tm 0.7473 0.5017 0.2500  8 Tm 3.51-3.58, 2 Tb 3.51, 2 La 3.53
Tm 0.5000 0.2513 0.1255  8 Tm 3.51-3.55, 4 Tb 3.53-3.54
Tm 0.0000 0.7489 0.8745  8 Tm 3.53-3.55, 2 La 3.53-3.54, 2 Tb 3.54
Tm 0.7473 0.0017 0.2500  8 Tm 3.51-3.58, 2 Tb 3.51, 2 La 3.53
Tm 0.2527 0.5000 0.5000  6 Tm 3.51-3.58, 4 Tb 3.53-3.54, 2 La 3.55
Tm 0.7473 0.0000 0.0000  6 Tm 3.51-3.58, 4 Tb 3.53-3.54, 2 La 3.55
Tm 0.0000 0.7511 0.3745  8 Tm 3.53-3.55, 2 La 3.53-3.54, 2 Tb 3.54
La 0.0000 0.2507 0.3743  8 Tm 3.53-3.55, 4 Tb 3.55
La 0.0000 0.7507 0.1257  8 Tm 3.53-3.55, 4 Tb 3.55
La 0.0000 0.7493 0.6257  8 Tm 3.53-3.55, 4 Tb 3.55
La 0.0000 0.2493 0.8743  8 Tm 3.53-3.55, 4 Tb 3.55

Computed properties:
- ΔE_f: 25 meV per atom
- DOS(E_F): 40.3 states/eV/cell
- Total energy: -4.5429 eV per atom

***

2.
DFT (PBE-GGA) results for a geometry-optimized ScCuNiHg structure.

Cell: 4.4840 4.4840 4.4840 Å, 60.00 60.00 60.00°
With the nearest neighbours (Å) after each atom.
Atoms (fractional coordinates):
Hg 0.0000 0.0000 0.0000  4 Ni 2.75, 4 Cu 2.75
Sc 0.5000 0.5000 0.5000  4 Ni 2.75, 4 Cu 2.75
Cu 0.7500 0.7500 0.7500  4 Sc 2.75, 4 Hg 2.75
Ni 0.2500 0.2500 0.2500  4 Hg 2.75, 4 Sc 2.75

Computed properties:
- ΔE_f: -225 meV per atom
- DOS(E_F): 1.9 states/eV/cell
- Total energy: -4.3526 eV per atom

***

3.
DFT (PBE-GGA) results for a geometry-optimized Ac3Sm2Tl2 structure.

Cell: 5.1949 3.7940 13.0077 Å, 90.00 78.48 90.00°
With the nearest neighbours (Å) after each atom.
'''

LED inactivity

You can turn on the Turn on LEDs after inactivity setting to have the leds turn completly off after a timer. This is useful if you have leds on always on mode, but wish to have your guitar power its LEDs off after it is unused for a given amount of time.